Race your cruising boat
It doesn’t have to be expensive or difficult to get out on the race course
Almost every local weeknight racing series has a cruising division filled with sailors looking for an excuse to get out on the water and away from life’s demands. The idea of racing might seem daunting, but with a few tweaks to your boat, a bit of reading up on the rules and enlisting family and friends for crew, you’ll be rounding marks in no time.
Not everyone wants to be a racer, but there are some compelling reasons to
consider it.

There is no better way to become a stronger sailor than by spending time on the water challenging yourself. Even simple windward-leeward courses can throw all kinds of scenarios at you as water, wind and weather conditions change and test your seamanship. Racing is also a great way to sharpen your skills for a longer voyage.
Enlisting your family and friends as crew is a great way to spend time together, not to mention a great way to pass your love of sailing onto your kids. And competition with friends and family can build team spirit while enjoying the sport of sailing together.
Racing is also a good way to become involved with the sailing community and make friends with people who share a common interest. If you’re comfortable with it, you can also help grow the sailing community by offering to teach people interested in learning to sail. There are plenty of volunteer opportunities related to racing. You can get involved on a planning committee or volunteer to help run races.
Lastly, racing can be a scheduled excuse for a bit of relaxation. Weeknight racing is a great way to set aside time each week to hit the water and leave everything else on land. The highest participation today is in the early evening races.
Get your boat ready
Depending on your level of dedication and budget, preparation can be as big or as small as you like, starting with the boat.
Don’t worry, you don’t have to run out and buy new sails. It is important, however, to have had your sails inspected and serviced recently. If you’ve noticed some issues with sail shape and performance, your sailmaker can likely recut them to help make you more competitive.
If it’s time to replace your sails, talk to your sailmaker about all options, including dual-purpose membrane sails designed with a cruising focus that will also make you competitive on the racecourse. Many cruiser-racers today come with sails provided by the boat’s manufacturer. Being a line item that affects the overall cost of the boat, these sails are usually inexpensively constructed of cross-cut Dacron panels.
These low-tech sails tend to lose their shape after a few years. Even though they appear to be working, they lose efficiency and keep the boat from performing at its full potential.
Many cruisers have a “set it and forget it” mentality when it comes to rig tuning. This philosophy works for the occasional sunset sail, but when performance is at stake, you’ll want to make sure your rig is spot on. Your sail loft can help with this by sending an expert to take a look. They’ll make sure key components are set up correctly and will be able to give you some trimming tips.
After your rig tune is set, look at your running rigging. Check for wear and UV damage. If you need to replace some lines, consider low-weight and low-stretch options. Cordage suppliers can assist in outfitting your boat with the right line.
If you choose to sail with electronics, it’s important that they are calibrated accurately and that you know how to get the most out of them. Most basic packages have wind speed and direction and boat speed. If used correctly, this data can improve your performance significantly. Whether or not you invest in race electronics, make sure you have a good stopwatch on board for the start sequence and a reliable VHF radio to tune in to the race committee.
When it comes to optimizing your boat, it’s all about making it as light as possible. Remove all extra tools, spares and items you won’t need for an evening race, such as your grill and water toys. When removing excess weight, be careful not to violate any race rules about removing standard equipment like locker doors and cushions. When it’s time to race, stow all gear as close to the middle of the boat and as far down as possible.
Next, inventory your safety gear. Everything should be up to U.S. Coast Guard specifications.
Gather a crew
The size of your boat will dictate how many crewmembers you’ll need to effectively sail around the race course. Even if you and your partner can manage, sailing under pressure is a different animal. You want to make sure you cover the key positions: bow, pit, headsail trimmer, main trimmer and, of course, skipper. If your boat is large enough, you might consider adding someone for tactics or ballast (especially if it’s a big breezy evening).
Finding crew can be a challenge, but a bit of creative thinking can help. Boat owners are often the most all-purpose sailors and are great to have aboard, especially if they haven’t made the jump to racing their cruisers. Like you, they’re often itching for a good excuse to get out on the water.
Your local yacht or sailing club is an obvious source for crew. Spread the word that you’re looking for crew. Keep an eye out for sailors wandering the docks with a life jacket looking for a ride.
Junior sailing programs are also great places to find crew. Although they may be less experienced on larger keelboats, junior sailors often have years of experiences sailing small, responsive boats, making them quick studies in sail trim, weight movement, timing and tactics. Juniors are often looking to gain experience sailing on bigger boats, but don’t always have access. So extend the invitation.
If you’re not as worried about results and you’re the patient type, consider creating a training program. There are a number of significant others left at the yacht club during races, not to mention people in the community who would love to learn to sail. Just make sure you’ve got a few other salty dogs onboard so you’re not the only one who knows how to sail. If you invest time in training crew, you’ll likely be rewarded with their loyalty.
____________
Ho2Ge2O7: computed X-ray powder pattern (a wavelength of 1.5418 Å), based on a cell relaxed with GGA-PBE.
Kinematic intensities with the Lorentz-polarization factor, no thermal factor.

Peak list (8 most intense, 2θ = 10–90°, most intense first)
30.98°, rel. 100; 51.71°, rel. 46; 61.51°, rel. 42; 35.92°, rel. 32; 84.46°, rel. 17; 87.19°, rel. 15; 15.35°, rel. 14; 39.27°, rel. 11

Atomic structure:
a b c (Å): 7.071 7.071 7.071
angles (deg): 60.00 60.00 60.00
Fractional positions:
Ho (0.000, 0.000, 0.000)
Ho (0.000, 0.000, 0.500)
Ho (0.000, 0.500, 0.000)
Ho (0.500, 0.000, 0.000)
Ge (0.000, 0.500, 0.500)
Ge (0.500, 0.000, 0.500)
Ge (0.500, 0.500, 0.000)
Ge (0.500, 0.500, 0.500)
O (0.125, 0.125, 0.125)
O (0.171, 0.171, 0.579)
O (0.171, 0.579, 0.171)
O (0.171, 0.579, 0.579)
O (0.421, 0.421, 0.829)
O (0.421, 0.829, 0.421)
O (0.421, 0.829, 0.829)
O (0.579, 0.171, 0.171)
O (0.579, 0.171, 0.579)
O (0.579, 0.579, 0.171)
O (0.829, 0.421, 0.421)
O (0.829, 0.421, 0.829)
O (0.829, 0.829, 0.421)
O (0.875, 0.875, 0.875)
____________
Local sail lofts can also be a source for crew. Some lofts even have lists or crew programs and can help shorthanded boats and boatless crew find each other.
Know the rules
If you’re completely new to racing, you’ll need to brush up on the rules and learn how races work. The person in charge of the local races can explain how they work for the local weeknight races, but you can also use resources on US Sailing’s website to get the current Racing Rules of Sailing. It can be helpful to sail a few races with a friend before skippering your own boat across the starting line. Alternatively, see if a sailor who knows the rules well can sail a few races with you while you gain confidence.
If you want to become competitive quickly, look into getting a coach, pro or even your local sailmaker on board for a few races. These folks are valuable resources who can quickly help you identify what you need to work on. Coaches can assist in so many ways from pre-race strategies, sail trim, boat handling tips and fine-tuning steering skills.
Wally Cross is a sail consultant at Quantum Sails Detroit. With nearly 50 years of experience in the sailmaking industry on all sorts of racing and cruising boats, Wally enjoys mixing his sailmaking knowledge with all the other pieces of sailing, such as rig tune, trim, and sail settings, to not only make the boats sail faster, but to help people get the most enjoyment from their boats.